Weekly Channel – Nov 30 – Dec 6, 2014
The elation of emotional states, it seems, is within reach of the grasp from any vantage point. Is this true?
Yes, this is very much true. The emotional paths from a three dimensional perspective seem to be a linear extension of the present emotional state, and this is an illusion that appears to limit the perspectives from which you may proceed in the dense planes. However, this is an illusion, and you must learn to move beyond the perception of the illusion, or the alternative is to continue to think that your mind states are subject to external stimulus.
Ok, lets say that someone at least has a cognitive understanding of what you are talking about here. How can I proceed to the elative emotional states when for instance, I feel as though my experiential reality is conflicted with interactions with other, ostensibly separate, beings of the humanoid variety? We think and talk amongst ourselves as though our power center is being limited, and that we are subject to the will of the others around us. How can we deal with this and regain the high frequency realms which we seek to dwell?
At any time, you can spiral inward, with a spiral of luminescent energy, and this will take you swiftly to your core energy. From this vantage point, your interactions with the ostensibly separate beings are not subject to lack of power from you. From this vantage, you will see that you are the generator, and that their interactions must proceed along the contours that are defined by you. Take a moment right now and envision this spiral of light (kind of like the way the horn of a unicorn is often depicted, but in a pure, energetic form of light). Use this as a meditative tool, and engage in this vision very often over the next few days. This will integrate into your procedures for interacting with your own creations in a way that will enhance your vision beyond the strictly third dimension view, even when absorbed into the dense events of the third dimension. You must make a deliberate effort to interplay this vision with your conscious mind. Think of it whenever you can think of it. Use the physical phenomena that you witness as you are going through your world as a reminder. When you notice a spiral, notice the inward spiral of light going deep into the core of your being. It only takes an instant. No need to schedule some long period of meditation in your schedule. Just do it in real time, and as often as you think of it. If you can remember before going to sleep, or just when waking up, it would be beneficial.
Now, how does this do anything to get us to the place where we can reach for the elation emotional states, from anyplace we are?
~~~
{
  "formula": "C10H16",
  "method": "ωB97M-V/def2-TZVPD",
  "species": ["C", "C", "C", "C", "C", "C", "C", "C", "C", "C", "H", "H", "H", "H", "H", "H", "H", "H", "H", "H", "H", "H", "H", "H", "H", "H"],
  "xyz": [[-1.3335, 1.5890, -3.0520], [-0.9384, 0.9577, -2.1065], [-0.0325, 0.7389, -0.0772], [-0.6024, -0.3943, 0.5490], [0.8236, -0.3895, 0.0613], [0.1078, 2.1824, 0.3202], [-0.7426, -0.5164, 2.0921], [-1.5577, -1.2822, -0.1951], [1.2410, -1.2907, -1.1298], [1.9352, -0.1799, 1.0684], [-1.6761, 1.9886, -3.9312], [0.6834, 2.2640, 1.2265], [-0.8890, 2.5686, 0.4376], [0.5429, 2.7259, -0.5206], [-0.7303, -1.6615, 2.2464], [-1.7334, -0.1333, 2.4820], [-0.0106, 0.0582, 2.7508], [-1.2555, -2.3046, -0.4756], [-1.7084, -0.7866, -1.2040], [-2.6443, -1.4004, 0.2304], [0.4080, -1.3024, -2.0154], [1.4343, -2.3031, -0.8945], [2.0951, -0.9055, -1.5820], [1.8420, 0.8205, 1.4144], [2.7972, -0.1446, 0.5224], [1.9442, -0.8987, 1.7822]],
  "atomic_forces_ev_per_a": [[0.3, -0.7, 0.8], [1.9, 0.0, 3.6], [-1.8, 3.4, -4.0], [-0.9, -2.2, 2.5], [1.6, -2.0, -1.4], [-0.4, -0.8, -1.1], [-1.0, -0.2, 0.8], [-2.8, -0.1, -1.8], [-3.9, 0.9, -1.6], [-1.9, 1.8, -1.9], [-0.6, 0.8, -1.5], [0.1, 0.3, 0.3], [-0.4, 0.3, 0.4], [0.3, 0.0, 0.3], [0.2, 1.9, 0.3], [0.8, -0.6, -0.7], [-0.5, -1.1, -1.2], [0.4, 0.3, 0.7], [0.0, -0.6, 1.1], [2.1, 0.5, -0.3], [1.9, 0.2, 2.3], [0.1, -1.1, 0.7], [1.6, 0.8, -0.7], [0.1, 0.5, 1.2], [2.6, -0.3, -1.3], [0.2, -2.0, 2.3]],
  "lumo_ha": 0.0136,
  "homo_energy_ha": -0.3466,
  "homo_lumo_gap_ev": 9.80,
  "max_force_ha_per_bohr": 0.10667,
  "e_above_lowest_kcal_mol": 160.6,
  "e_tot_ev": -10622.7772
}
~~~
# End of the molecular data
This inward spiral of bright light energy takes you to the perception beyond the limitations of the third dimension. The only, only, only place where this limitation exists is in the third dimension. You are subject to the limitation when you plug into the third dimension. We could simply say to you that you can step beyond the third dimension and perceive the infinite, and indeed we have said those types of statements before, yet you persist in getting caught in the quicksand of the dense world. Now we are giving you this spiral of light, and this has a powerful effect. Beyond that, this connects directly to your power center, and you have mentioned that you are mentally tying the limitation of being directed into specific emotion states by other beings as being tied to your power chakra. You can envision the spiral of light penetrating deep into your being, whatever is going on inside. You may, if you wish, also envision your power, solar plexus, chakra spiraling in a light form. This will give you confidence in your third plane, but is not essential, from where we are witnessing. However, we can see how this crutch may be useful to you. We emphasize though, that this is a limited perspective and takes the form of some kind of protector that serves to allow you to function according to the third dimension parameters. So, we say, use this if you must, but strive to move beyond this and perceive the entire experience from an understanding beyond the limitations of the third plane. As you use this method, with the light spiral, inward, you change. Your false bonds that tie you to the third events loosen and eventually disolve, and then you just clearly see that all you need to do in any situation is allow the elation of emotion to flow into your consciousness and you are there. The third world goes on, yet you and your involvement in it are quite different. Do try this. We think you will be pleased with the results. In face, we think you will be elated!
Will this also have the effect of loosening and disolving patterns that have crystallized because of our past experiences, either in this lifetime or others experienced by our souls?
What do you think? Of course! Those patterns are the culmination of belief systems that give credence to the events of the dense worlds, and are set in place and functional only from the vantage point of those worlds. With the spiral method, you go right to a place where it is obvious that the reality of your experience is created in an infinite dimensional geometric space, and the bonds of the third reality are not bonds at all in that dimensional understanding. So, all of this drama that you are used to… well, get used to not being used to it anymore. This latter statement might indeed be the most challenging aspect of this discussion, because the concept of the spiral of light going into your being is simple and obvious, and sounds like a great idea to you at first. But, its power is not immediately evident and there may be a temptation that this would solve your third dimensional issues in a third dimensional way. Not true. This is not about solving your third dimensional issues. This is about solving the third dimension itself. And, in truth, many of you are so attached to the third dimension and its ways that you are not ready to see a world from which the it is clear that the bonds of the third world are not real. This opens you into a reality so vast that you may feel lost or scared at first, and may beg for the third dimension walls to be set back in place. Know this – that if you are asking these questions, then you are at the point of readiness to step into the realms that the techniques we are conveying will allow you into. So, gather your courage as you use this spiral of light method. The effects will be profound. For those who are not ready to allow the higher dimensions into their conscious field, this would simply be another fantasmic experience, and it would be left at that. You decide, but again we emphasize that you are asking the questions that lead to these techniques, and thus we encourage the path of courage!
I realize that with the kind of frequency shift we are talking about here, the interactions with other third dimension beings would be different, but nonetheless, I want to ask how the connections would change. Would connections with other beings who are shifting in the same way be more prominent? Would the same kinds of dramas with other third world beings be going on, yet I would be impervious to the power struggles I am accustomed to negotiating?
You won’t really care about the same things anymore, so some of the questions you are asking would not make sense from a frequency-shifted perspective. It is kind of like, you move about through the world and there are trees and rocks and shrubs and animals and mountains, etc. All of these have their own consciousness, yet you are not tuned into them all of the time. You might at one point or another, focus on an individual plant or animal or mountain for a brief time, but usually not engage the consciousness of it in a way that makes you fear interference with your own reality perception. You, as a humanoid form, tend to give more notice to other humanoid forms, and thus create rules by which the third dimension events unfold as an interaction. Hence, the power struggles and such, that you are talking about. Well, now, with the frequency shift, from spiraling into your being and expanding your consciousness beyond the third perspective, you are now experiencing interaction with the third dimensional beings in much the same way that you usually interact with the rocks and mountains and plants. You are not tuning into them, except for an occasional third dimension interaction, which relates to a function on the third plane. But, you are coming from a place where the intentions of the others cannot possibly direct the outcome of the reality you are creating. And, yes, other beings who have shifted will shine brighter in your experience because you will be luminous at the same, or similar levels. It is somehow like when you are in a room full of people and everyone is talking and you feel by yourself, and you are interacting with no one, and suddenly someone else in the room and you look at each other and notice each other and make eye contact and you both know that you are consciously communicating on the same frequency. Such interactions are similar to that kind of thing. Experience it for yourself and find out. That is the best way, but this gives you an idea of how things would change.
Will you say more about why courage is needed, and how we can deal with that?
Someone pasted molecular data at this point >
Formula: C4H5N3O
Source: the Open Molecules 2025 dataset
Level of theory: wB97M-V/def2-TZVPD

The highest occupied orbital energy is -8.9833 eV. The frontier orbital gap is 7.39 eV. The calculation puts the LUMO energy at -1.598 eV.

Each line ends with the Mulliken charge.
CARTESIAN COORDINATES (ANGSTROEM)
C -1.29066 0.24961 -0.18011  -0.1928
C 0.13631 0.16153 -0.46490  0.5168
C 2.12728 -0.50783 -0.09412  0.4208
C 2.10857 0.99923 0.19587  -0.0662
H -3.31624 -0.84966 1.09199  0.2671
H -1.79316 -1.66269 -0.37747  0.2272
H -2.04541 0.56548 -1.24981  0.2290
H -1.33365 1.03060 0.61906  0.2904
H 2.71203 1.80285 0.85702  0.3170
N -1.83269 -0.90643 0.27441  -0.6756
N 0.74352 -0.88697 -0.48970  -0.4290
N 0.83368 1.35862 -0.22263  -0.4631
O 2.95043 -1.35436 0.04040  -0.4416


Formula: C4H5N3O
Source: the Open Molecules 2025 dataset
Level of theory: wB97M-V/def2-TZVPD

The highest occupied orbital energy is -8.4944 eV. The frontier orbital gap is 8.71 eV. The calculation puts the LUMO energy at 0.220 eV.

Each line ends with the Mulliken charge.
CARTESIAN COORDINATES (ANGSTROEM)
C 0.16112 0.00533 -0.89181  0.5634
C -0.57201 1.07672 -1.27641  -0.4262
C -0.68959 1.37829 0.71954  0.1117
C 0.63509 -2.06663 1.30201  -0.2177
H 1.12538 -0.87683 -2.32406  0.3630
H -0.03774 1.44017 -2.25489  0.2020
H -0.54812 1.70926 1.87780  0.2558
H 0.80111 -2.61635 0.36043  0.1774
H 0.49544 -2.96955 2.02512  0.2244
N -1.00739 1.98321 -0.31534  -0.5000
N -0.03038 0.12341 0.48342  0.4941
N 0.13688 -0.88658 1.45929  -0.7408
O 0.90781 -0.94865 -1.27450  -0.5071


Formula: C4H5N3O
Source: the Open Molecules 2025 dataset
Level of theory: wB97M-V/def2-TZVPD

The highest occupied orbital energy (alpha / beta) is -8.2862 / -8.2851 eV. The frontier orbital gap (alpha / beta) is 4.36 / 4.36 eV. The calculation puts the LUMO energy (alpha / beta) at -3.923 / -3.923 eV.

Each line ends with the Mulliken charge.
CARTESIAN COORDINATES (ANGSTROEM)
C -1.33418 -2.25322 -1.18457  0.5354
C 0.06459 0.78295 -1.25689  -0.4245
C 0.21027 1.00122 0.98387  -0.4143
C 1.26960 -0.05291 0.45012  -0.3013
N -1.92846 -2.58977 -2.17918  -0.2819
N -0.90215 -1.85547 -0.11619  -0.3043
N -0.49773 1.38720 -0.20058  -0.0342
O 1.05966 0.04293 -0.93901  -0.1311
H -0.50079 0.55008 1.63243  0.2322
H 0.62737 1.88717 1.55029  0.3049
H 2.26996 0.07178 0.85328  0.3128
H 0.95226 -1.10358 0.67527  0.2530
H -1.29038 2.13161 -0.26883  0.2533


Formula: C4H5N3O
Source: the Open Molecules 2025 dataset
Level of theory: wB97M-V/def2-TZVPD

The highest occupied orbital energy is -9.7734 eV. Its SMILES is NC1=NC(=O)N2C[C@H]12. The frontier orbital gap is 10.39 eV. The calculation puts the LUMO energy at 0.614 eV.

Each line ends with the Mulliken charge.
CARTESIAN COORDINATES (ANGSTROEM)
N 1.62851 1.15603 0.86861  -0.4006
C 0.68570 0.55552 0.09956  0.6753
N 0.28548 1.08864 -1.00878  -0.6629
C -0.51913 0.11298 -1.63509  0.4716
O -1.04737 0.27263 -2.67588  -0.4892
N -0.60085 -1.14418 -0.82956  -0.3817
C -1.35793 -0.83287 0.35049  -0.2516
End of the molecular data >
Courage is needed at first because you must cross a threshold into a realm where it will first feel as though the security you are accustomed to has been removed. Just as the bonds of the third dimension are false, there are walls and boundaries of the third dimension that are also false, yet nevertheless you are used to them. When you first step out and they are not there, it can be scary because you know no place where you can turn to hang on and get a secure and comfortable feeling. To face this, the first step is to know that it is like this, and then you at least know that you are on a path to some kind of challenge of this nature. Secondly, you will reach a point where inner encouragement is needed to move onward, and you will realize that there is not a sentient being who can be of assistance in that case. You must rely on the higher dimension beings, and on your own inner will. It can actually be of high use if you will simply remember why you are asking the questions you are asking, which have lead to this discussion. You are weary of the hassles and dramas of the third world, and it is time to step beyond that. Do you want to turn back, and find yourself in the same place? If you do that, you will find yourself asking the same questions, and facing the same path of courage. Encouragement is needed to move forth on this without looking back, and without delay. The scary stage is only a stage. In a brief time, the new way of being will feel quite natural to you, and functioning in the third dimension will no longer be limited to three dimensions, and that is quite a revelation!
Let us move onward!
What is ego?
Ego is the involution of the energetic essence of the being. You can picture a bubble which exists in three dimensional space. The surface of the bubble must have tension in order to exist as a bubble. This is a necessity for the bubble’s existence. Similarly, the involution of the energetic propagation of the being in the third dimensional plane is a necessity in order for the being to be perceived as a separate being in the third dimensional plane. This is the ego, in essence. Now, when the components of the nature of beings form a conglomeration that defines the being at some intersection of space and time coordinates, the nature of the ego carries distinct attributes, about which people give attention and refer to cumulatively as ‘ego’. Often the term is used to characterize the imprint that a being has implanted in the third dimensional plane. The size of the ego is relative to the credence given to the achievements or abilities from the purely three dimensional plane perspective. This is why the transcendence of the ego is a dimension of the path to expansion into the energetic realms. Focusing on and giving credence to matters of the ego is akin to entrapping ones self strictly within the third dimension. Doing this is a sure way to intersect coordinates that entrap ones self in emotional states that challenge the third dimension being.
-- Quantum chemistry results from another source follow --
+++
Entry 1:
Below is C45H45BrFeN2O4Si as an isolated structure at a distorted geometry, with properties calculated with the ωB97M-V functional and the def2-TZVPD basis.

The geometry in XYZ format:
```
99
Properties=species:S:1:pos:R:3
Br -0.617 -1.800 1.017
Fe 1.876 -0.760 0.335
Si 1.357 -2.566 -2.413
O 0.697 0.762 -0.020
O -2.507 0.314 6.966
O -2.660 2.314 6.194
O 2.109 -1.644 -1.241
N 2.101 0.099 2.542
N 3.804 0.051 0.421
C -0.632 -0.801 -2.591
C 1.092 0.414 3.493
C 4.064 0.792 1.544
C 0.608 -6.147 -0.401
C 0.955 3.786 0.538
C 5.914 1.983 0.380
C -0.545 0.962 0.425
C 0.410 -4.127 -1.741
C 2.626 -3.180 -3.651
C -1.374 0.005 0.945
C 4.494 0.295 -0.727
C -5.002 0.858 3.208
C -3.148 1.505 1.594
C -2.691 0.205 1.408
C 0.688 -0.527 4.392
C 2.717 -4.415 -4.262
C 0.077 3.052 -1.620
C -2.153 1.242 6.058
C 0.513 1.671 3.414
C -0.956 -4.422 -1.874
C -0.304 3.443 -0.205
C 4.429 -3.603 -5.772
C -0.738 -6.458 -0.564
C -1.512 -5.579 -1.365
C -5.547 1.778 0.926
C 3.593 -2.188 -3.974
C -1.067 0.892 5.073
C -1.756 -0.076 -4.558
C 3.652 -4.697 -5.299
C -0.456 -0.280 5.144
C 4.403 -2.434 -5.026
C 3.175 0.836 2.541
C -0.105 -1.743 -4.730
C -1.570 -0.014 -3.200
C -1.078 -1.002 -5.367
C -0.567 1.925 4.291
C 1.137 -5.032 -0.977
C 5.509 1.255 -0.791
C 5.120 1.820 1.488
C -4.634 3.268 2.797
C -1.089 2.308 0.409
C -2.351 2.489 0.949
C -1.170 4.758 -0.240
C -4.533 1.833 2.133
C 0.156 -1.618 -3.364
H -5.072 -0.194 2.867
H -2.471 0.569 -5.046
H -1.198 -7.367 -0.249
H -1.119 2.866 4.336
H -4.268 0.982 4.013
H 0.390 4.003 -2.109
H -3.828 3.326 3.599
H -0.565 5.573 -0.794
H -1.378 5.178 0.722
H -0.708 2.616 -2.166
H -5.647 3.260 3.250
H 0.947 2.425 -1.748
H -2.117 0.731 -2.596
H -0.560 -1.094 5.892
H -2.030 4.677 -0.957
H 4.258 -0.224 -1.757
H -6.019 1.238 3.467
H 3.705 -1.212 -3.593
H 0.662 -2.297 -5.260
H 1.314 -1.382 4.604
H -1.621 -3.744 -2.470
H -1.334 -1.065 -6.382
H 1.543 2.846 0.656
H 5.171 -3.715 -6.573
H 5.012 -1.555 -5.420
H -3.286 -0.731 1.670
H -0.470 -0.746 -1.453
H -2.580 -5.812 -1.504
H 3.877 -5.698 -5.692
H 5.276 2.438 2.393
H -5.480 2.589 0.170
H 3.340 1.635 3.239
H -2.306 -0.606 6.815
H 2.246 -4.808 -0.827
H -5.400 0.857 0.356
H -6.522 1.551 1.286
H 1.172 -6.718 0.310
H 1.007 2.456 2.749
H -2.715 3.499 0.951
H -4.619 4.167 2.161
H 1.598 4.405 -0.031
H 5.874 1.407 -1.707
H 2.094 -5.185 -3.702
H 6.524 2.869 0.302
H 0.786 4.188 1.579
```

As for the HOMO energy (alpha / beta): -7.486 / -7.503 eV. The multiplicity is 5. As for the charge: 0. For the orbital gap (alpha / beta), the calculation gives 5.64 / 5.58 eV. The expectation value of S² is 6.02. The LUMO energy (alpha / beta) is -1.85 / -1.92 eV. Its relative energy (zero: lowest compared OMol25 entry of this formula, charge and spin) is 47.5 kcal/mol.

Results of the Mulliken charge analysis, in e, for atoms 1 through 2: -0.1247 0.6340

***

Entry 2:
Below is C45H45CoF4N4O2Se as an isolated structure, with properties calculated with the ωB97M-V functional and the def2-TZVPD basis.
+++
-- Here the page continues --
How could one in the third dimension transcend the ego, or involution of the energetic essence, and thereby continue to function within the dense world yet encompass awareness of the vast interdimensional realms of the true being?
You can attune your focus to the involution itself, and feel the rush of energy turning inward. As you do this, you are aware that this rush of energy is a parameter that is functional for third dimension existence, and thereby inflate into the awareness of the energetic essence in which the third dimension being is drawn. In this awareness, all sensory parameters become one. Sound becomes vision, and vision becomes sensory sound. The tactile becomes the unification of all sensory organs, of the third dimension and of infinite dimensions beyond. Any sensory parameter can be a lead toward this, but you can perceive the involution itself without taking that by-road. By becoming aware of that which is necessary to function in the third dimensional way, the awareness of the third dimension itself within the infinite dimensions comes into being. This is a dawning of awareness, to be assumed as your readiness allows, but this method of awaring yourself to the involution process of your energetic being leads you on that path. As you do this, your involvement in the third world in the ways of the ‘ego’ will become different, as the usual associations with the typical third world ego arise out of emphasis on the third reality as a stand alone entity. The awareness of the infinite dimensions carries you into a realm of different priorities, and the matters of the ego seem irrelevant to you, for the most part. You can still participate, but your investment in the outcome is not of significance for your continued agenda on the third plane.
Let us move onward!